Next, set down the listing underneath from the first line to the one with "1.03 4.89" without additions.

~~~
A 15-piece molecular cluster, C64H156N2O31S5 overall in a non-equilibrium geometry, computed with wB97M-V/def2-TZVPD.

* frontier orbital gap: 8.96 eV

Structure (ORCA input):
```
! wB97M-V def2-TZVPD RIJCOSX def2/J DEFGRID3
* xyz 0 1
S 3.52 -3.02 -6.20
S -4.41 1.06 3.02
S 4.41 -1.56 3.68
S 3.67 -8.52 -0.01
S -1.72 -7.04 1.73
O -3.55 2.18 -1.10
O 3.76 -3.19 -0.45
O -1.82 3.09 0.98
O 1.22 3.02 -5.45
O -6.16 -6.85 1.57
O 2.23 6.80 0.73
O -5.43 0.00 2.80
O -0.07 8.30 0.41
O 2.13 -4.40 -2.52
O -5.13 -4.89 3.20
O 2.38 3.14 -2.92
O -1.63 10.89 0.65
O 4.09 -8.26 -1.42
O -0.32 -7.16 2.08
O 0.07 -2.57 6.15
O -4.83 5.18 4.51
O -0.09 -0.71 -7.64
O 3.03 -1.03 3.48
O 1.15 6.28 -6.74
O 2.09 -5.03 4.60
O -0.54 -0.86 -0.06
O 7.58 3.44 1.12
O -0.16 1.39 -9.23
O -2.89 -3.46 4.34
O 5.77 3.93 3.73
O -0.85 0.15 4.71
O 2.80 3.80 3.71
O 3.71 -4.19 -5.29
O -0.79 -0.20 -4.74
O -0.72 -4.92 -2.19
O -3.73 -0.85 -1.26
N -2.87 6.46 4.35
N -0.04 -2.78 1.08
C -2.28 7.81 4.30
C 6.48 4.88 2.96
C -2.10 -5.16 -2.49
C 5.26 -1.23 2.12
C 1.02 2.74 -2.99
C 2.86 -2.07 -0.83
C 3.74 2.75 3.89
C -5.88 -7.15 0.21
C -1.34 -0.28 -7.16
C 6.84 3.87 -0.01
C 2.70 4.07 -1.84
C 3.86 -7.02 0.95
C 0.42 -0.20 5.30
C -1.10 2.04 1.64
C -0.10 -2.05 2.30
C 2.60 -3.77 -7.59
C -2.11 5.35 3.91
C -2.16 -8.37 0.59
C 1.04 -3.09 5.34
C 1.59 3.54 4.29
C -3.99 -1.95 -0.44
C 3.52 6.64 1.30
C 1.04 0.78 -9.10
C -0.28 -2.07 -0.03
C -6.47 -5.39 3.27
C -1.63 1.08 5.50
C -2.87 -7.56 3.03
C -4.80 0.08 -1.20
C -4.88 1.59 4.60
C 0.97 0.22 -7.70
C -4.45 1.38 -1.89
C 7.73 4.44 2.08
C 1.98 -6.42 4.29
C 1.45 -5.41 -3.20
C -2.01 12.19 0.34
C 0.85 -4.56 5.08
C -4.89 2.51 2.11
C 1.95 6.91 -7.72
C 0.44 -4.12 1.12
C -6.92 -5.67 1.85
C 1.21 4.90 -6.85
C -1.36 8.65 -0.16
C -0.05 6.96 0.75
C -0.48 1.62 -10.60
C 0.38 -1.18 6.47
C -3.52 -3.19 3.08
C -0.93 -0.89 -3.48
C -1.56 3.06 -0.38
C -0.01 -4.98 -3.43
C -4.97 -3.51 3.00
C 4.33 -3.29 3.33
C 4.35 -3.76 -1.61
C 1.16 6.64 1.61
C -4.18 6.23 4.64
C 0.74 2.22 -4.40
C 1.87 -8.54 -0.06
C -1.48 -0.86 -5.72
C 0.64 4.30 -5.53
C 3.45 -4.84 -2.24
C 2.05 -2.20 -5.47
C -2.16 1.96 -1.19
C -1.33 10.13 -0.55
C 4.92 2.99 3.02
C -3.08 -2.57 5.41
H 3.65 7.37 2.16
H -1.04 1.96 5.72
H -0.99 -1.40 2.17
H -2.13 8.53 0.58
H -1.41 0.82 -7.25
H -0.45 3.07 -0.61
H -1.91 2.07 -2.22
H -2.57 -0.93 -5.47
H -0.80 -1.95 -3.70
H 1.97 -2.46 -1.30
H 1.11 5.58 1.85
H 1.17 0.06 -9.90
H -1.01 6.61 1.20
H 3.76 4.05 -1.72
H 1.88 -0.27 -7.38
H 1.86 -5.63 -4.14
H -4.37 -1.64 0.56
H -2.23 12.63 1.31
H 3.25 1.82 3.63
H 3.48 -1.45 -1.49
H -1.18 12.68 -0.15
H -2.04 -0.77 -7.84
H -5.97 2.51 2.02
H 2.43 5.11 -1.99
H -2.68 -1.57 5.13
H 1.08 2.69 3.79
H 2.04 -3.00 5.73
H 0.08 6.40 -0.23
H 4.73 3.55 2.10
H -1.68 -8.17 -0.36
H 3.67 -6.04 0.54
H 5.11 -0.19 1.90
H 6.31 -1.48 2.18
H 7.53 4.17 -0.78
H -2.14 5.26 2.80
H -5.39 -3.21 1.99
H 1.58 -6.99 5.17
H 1.73 -4.22 -7.13
H -2.48 -4.50 -3.35
H -4.49 2.56 4.89
H 1.52 6.93 -8.75
H 0.88 0.70 5.65
H -5.28 2.04 -2.09
H -2.86 12.22 -0.33
H -7.11 -4.53 3.73
H -0.04 2.19 1.67
H 3.48 -5.66 -1.55
H 0.01 -4.81 1.88
H 6.79 5.57 3.70
H 0.77 0.96 -6.96
H 3.74 5.65 1.73
H -2.09 8.06 3.25
H 1.42 -7.61 -0.32
H 2.96 -6.77 4.09
H -0.08 -4.03 -3.99
H -3.91 -7.50 2.56
H 4.07 2.58 4.94
H -0.35 1.92 -4.50
H 4.82 -3.04 -2.31
H -6.57 -4.87 1.21
H 6.19 4.73 0.15
H -2.85 -6.88 3.92
H -5.44 -6.25 -0.17
H -5.95 1.53 4.74
H 2.25 -2.94 -8.24
H 1.38 -6.68 3.44
H 3.07 -4.57 -8.05
H 4.95 -7.03 1.22
H 5.82 5.40 2.19
H 4.83 -1.86 1.36
H -5.03 0.33 -0.18
H 1.03 4.89 -4.70
H 2.26 7.90 -7.36
H 1.50 -8.90 0.97
H 8.08 5.40 1.65
H -0.42 -0.79 7.13
H 0.67 4.52 -7.68
H 1.68 3.34 5.34
H 1.91 1.52 -9.17
H 3.34 -7.17 1.86
H 5.35 -3.59 3.33
H 1.47 -4.11 1.34
H -2.43 1.40 4.85
H 3.95 -3.38 2.30
H -6.62 -6.33 3.84
H 3.89 -5.28 -3.17
H -4.71 -2.62 -0.86
H -0.26 -2.76 3.08
H -2.65 -4.92 -1.64
H -2.97 8.51 4.77
H 1.45 -6.39 -2.71
H 4.21 6.82 0.50
H -1.16 -1.94 -5.79
H -2.20 -6.19 -2.77
H -2.07 3.96 -0.77
H 1.32 1.30 -4.45
H -1.32 1.09 1.24
H -5.68 -0.37 -1.66
H -1.44 2.17 -10.68
H -3.02 -2.38 -0.31
H -1.94 -0.71 -3.02
~~~

A 15-piece molecular cluster, C64H156N2O31S5 overall in a non-equilibrium geometry, computed with wB97M-V/def2-TZVPD.

* frontier orbital gap: 8.96 eV

Structure (ORCA input):
```
! wB97M-V def2-TZVPD RIJCOSX def2/J DEFGRID3
* xyz 0 1
S 3.52 -3.02 -6.20
S -4.41 1.06 3.02
S 4.41 -1.56 3.68
S 3.67 -8.52 -0.01
S -1.72 -7.04 1.73
O -3.55 2.18 -1.10
O 3.76 -3.19 -0.45
O -1.82 3.09 0.98
O 1.22 3.02 -5.45
O -6.16 -6.85 1.57
O 2.23 6.80 0.73
O -5.43 0.00 2.80
O -0.07 8.30 0.41
O 2.13 -4.40 -2.52
O -5.13 -4.89 3.20
O 2.38 3.14 -2.92
O -1.63 10.89 0.65
O 4.09 -8.26 -1.42
O -0.32 -7.16 2.08
O 0.07 -2.57 6.15
O -4.83 5.18 4.51
O -0.09 -0.71 -7.64
O 3.03 -1.03 3.48
O 1.15 6.28 -6.74
O 2.09 -5.03 4.60
O -0.54 -0.86 -0.06
O 7.58 3.44 1.12
O -0.16 1.39 -9.23
O -2.89 -3.46 4.34
O 5.77 3.93 3.73
O -0.85 0.15 4.71
O 2.80 3.80 3.71
O 3.71 -4.19 -5.29
O -0.79 -0.20 -4.74
O -0.72 -4.92 -2.19
O -3.73 -0.85 -1.26
N -2.87 6.46 4.35
N -0.04 -2.78 1.08
C -2.28 7.81 4.30
C 6.48 4.88 2.96
C -2.10 -5.16 -2.49
C 5.26 -1.23 2.12
C 1.02 2.74 -2.99
C 2.86 -2.07 -0.83
C 3.74 2.75 3.89
C -5.88 -7.15 0.21
C -1.34 -0.28 -7.16
C 6.84 3.87 -0.01
C 2.70 4.07 -1.84
C 3.86 -7.02 0.95
C 0.42 -0.20 5.30
C -1.10 2.04 1.64
C -0.10 -2.05 2.30
C 2.60 -3.77 -7.59
C -2.11 5.35 3.91
C -2.16 -8.37 0.59
C 1.04 -3.09 5.34
C 1.59 3.54 4.29
C -3.99 -1.95 -0.44
C 3.52 6.64 1.30
C 1.04 0.78 -9.10
C -0.28 -2.07 -0.03
C -6.47 -5.39 3.27
C -1.63 1.08 5.50
C -2.87 -7.56 3.03
C -4.80 0.08 -1.20
C -4.88 1.59 4.60
C 0.97 0.22 -7.70
C -4.45 1.38 -1.89
C 7.73 4.44 2.08
C 1.98 -6.42 4.29
C 1.45 -5.41 -3.20
C -2.01 12.19 0.34
C 0.85 -4.56 5.08
C -4.89 2.51 2.11
C 1.95 6.91 -7.72
C 0.44 -4.12 1.12
C -6.92 -5.67 1.85
C 1.21 4.90 -6.85
C -1.36 8.65 -0.16
C -0.05 6.96 0.75
C -0.48 1.62 -10.60
C 0.38 -1.18 6.47
C -3.52 -3.19 3.08
C -0.93 -0.89 -3.48
C -1.56 3.06 -0.38
C -0.01 -4.98 -3.43
C -4.97 -3.51 3.00
C 4.33 -3.29 3.33
C 4.35 -3.76 -1.61
C 1.16 6.64 1.61
C -4.18 6.23 4.64
C 0.74 2.22 -4.40
C 1.87 -8.54 -0.06
C -1.48 -0.86 -5.72
C 0.64 4.30 -5.53
C 3.45 -4.84 -2.24
C 2.05 -2.20 -5.47
C -2.16 1.96 -1.19
C -1.33 10.13 -0.55
C 4.92 2.99 3.02
C -3.08 -2.57 5.41
H 3.65 7.37 2.16
H -1.04 1.96 5.72
H -0.99 -1.40 2.17
H -2.13 8.53 0.58
H -1.41 0.82 -7.25
H -0.45 3.07 -0.61
H -1.91 2.07 -2.22
H -2.57 -0.93 -5.47
H -0.80 -1.95 -3.70
H 1.97 -2.46 -1.30
H 1.11 5.58 1.85
H 1.17 0.06 -9.90
H -1.01 6.61 1.20
H 3.76 4.05 -1.72
H 1.88 -0.27 -7.38
H 1.86 -5.63 -4.14
H -4.37 -1.64 0.56
H -2.23 12.63 1.31
H 3.25 1.82 3.63
H 3.48 -1.45 -1.49
H -1.18 12.68 -0.15
H -2.04 -0.77 -7.84
H -5.97 2.51 2.02
H 2.43 5.11 -1.99
H -2.68 -1.57 5.13
H 1.08 2.69 3.79
H 2.04 -3.00 5.73
H 0.08 6.40 -0.23
H 4.73 3.55 2.10
H -1.68 -8.17 -0.36
H 3.67 -6.04 0.54
H 5.11 -0.19 1.90
H 6.31 -1.48 2.18
H 7.53 4.17 -0.78
H -2.14 5.26 2.80
H -5.39 -3.21 1.99
H 1.58 -6.99 5.17
H 1.73 -4.22 -7.13
H -2.48 -4.50 -3.35
H -4.49 2.56 4.89
H 1.52 6.93 -8.75
H 0.88 0.70 5.65
H -5.28 2.04 -2.09
H -2.86 12.22 -0.33
H -7.11 -4.53 3.73
H -0.04 2.19 1.67
H 3.48 -5.66 -1.55
H 0.01 -4.81 1.88
H 6.79 5.57 3.70
H 0.77 0.96 -6.96
H 3.74 5.65 1.73
H -2.09 8.06 3.25
H 1.42 -7.61 -0.32
H 2.96 -6.77 4.09
H -0.08 -4.03 -3.99
H -3.91 -7.50 2.56
H 4.07 2.58 4.94
H -0.35 1.92 -4.50
H 4.82 -3.04 -2.31
H -6.57 -4.87 1.21
H 6.19 4.73 0.15
H -2.85 -6.88 3.92
H -5.44 -6.25 -0.17
H -5.95 1.53 4.74
H 2.25 -2.94 -8.24
H 1.38 -6.68 3.44
H 3.07 -4.57 -8.05
H 4.95 -7.03 1.22
H 5.82 5.40 2.19
H 4.83 -1.86 1.36
H -5.03 0.33 -0.18
H 1.03 4.89 -4.70